“… the first adopted statement by the Colonies which promised resistance to the death …”
“… the earliest statement of armed resistance to the British Crown in the American Colonies …"
The fuse of the 1776 American Revolution was lit by Scotch-Irish Presbyterians. Four years earlier in a remote mountain place called Lead Mines (now Austinville) in south west Virginia, a Rev Charles Cummings (1732-1812) was a leading Presbyterian minister. He had been born in Ireland (possibly Donegal) and emigrated when he was 18 on board a vessel captained by his brother James. Charles went to college in Pennsylvania and graduated in theology, during which he was tutored by Newry-born Rev James Waddell (1739–1805).
Lead Mines was the frontier seat of the vast Fincastle County, then a huge jurisdiction covering what is now south-western Virginia and all of Kentucky. Aged around 40, Cummings accepted a call to the southwest frontier and found himself among Ulster folk, or folk of Ulster descent. His old cabin home still stands today in Sinking Springs Cemetery, Abingdon (just off Cummings Street).
He is said to have drafted the Fincastle Resolutions of 20 January 1775 which are regarded as a precursor to the eventual Declaration of Independence of 1776. There had been earlier statements from other counties, but this was the first to promise resistance to the death. When you read the words of the Resolutions below, you’ll hear echoes of the Siege of Derry ringing in your ears! (One writer thinks that the meeting which adopted the Resolutions was held at James McGavock’s tavern in Fort Chiswell. McGavock was born near Glenarm in County Antrim).
The 13 signers of the Resolutions were:
........
[1]
Here is C7H17BO as an isolated structure at a distorted geometry from OMol25. Energies are from ωB97M-V/def2-TZVPD.

Each line ends with the natural charge from an NBO analysis.
Positions of all 26 atoms, in Å:
B 1.498 0.157 -0.050  0.64
C 1.927 -0.182 -1.546  -1.04
C -0.971 2.042 0.033  -0.69
C -2.333 -1.152 0.554  -0.59
C -1.779 -0.432 -1.755  -0.60
C 3.154 -0.637 1.530  -0.25
C -0.524 0.565 0.265  -0.04
C -1.217 -0.632 -0.345  -0.28
O 1.898 0.004 1.164  -0.76
H 2.725 -0.922 -1.711  0.22
H 2.453 0.620 -1.994  0.24
H 1.027 -0.542 -2.067  0.22
H -0.965 2.360 -1.042  0.22
H -0.181 2.634 0.428  0.24
H -1.914 2.349 0.494  0.23
H -2.277 -2.091 0.211  0.21
H -2.093 -1.011 1.609  0.21
H -3.286 -0.605 0.449  0.21
H -1.976 -1.507 -2.015  0.21
H -1.022 -0.074 -2.517  0.22
H -2.613 0.154 -1.783  0.21
H 3.320 -1.495 0.930  0.17
H 2.947 -1.011 2.538  0.20
H 4.021 -0.011 1.306  0.19
H -0.406 0.426 1.308  0.20
H -0.532 -1.477 -0.368  0.21

Multiplicity: 3
E in eV: -10252.761

=====

[2]
Here is a 3-piece molecular cluster, C15H18F6NO6 overall at a distorted geometry from OMol25. Energies are from ωB97M-V/def2-TZVPD.

Each line ends with the natural charge from an NBO analysis.
Positions of all 46 atoms, in Å:
O 5.306 4.781 -2.377  -0.47
C 4.698 4.004 -3.039  0.79
O 4.741 2.609 -2.846  -0.74
C 3.715 4.493 -4.191  -0.55
C 2.266 4.205 -3.649  0.28
C 1.548 5.269 -2.958  -0.23
C 0.187 4.993 -2.437  -0.07
C -0.320 3.611 -2.641  -0.23
C 0.492 2.619 -3.362  0.09
N 1.763 2.933 -3.838  -0.46
H 5.425 2.230 -3.433  0.51
H 3.852 3.865 -5.119  0.24
H 3.825 5.580 -4.413  0.28
H 2.045 6.260 -2.849  0.27
H -0.398 5.792 -1.927  0.27
H -1.316 3.295 -2.271  0.28
H 0.146 1.579 -3.570  0.27
H 2.354 2.254 -4.326  0.46
C -3.201 -1.005 2.148  -0.64
C -1.892 -0.562 1.527  -0.09
O -2.042 -0.354 0.107  -0.47
C -2.591 0.802 -0.263  0.68
O -2.962 1.658 0.489  -0.53
C -2.641 0.901 -1.788  0.90
F -3.097 -0.221 -2.360  -0.29
F -1.410 1.134 -2.317  -0.35
F -3.432 1.895 -2.216  -0.30
H -3.585 -1.890 1.638  0.22
H -3.066 -1.234 3.205  0.23
H -3.964 -0.229 2.058  0.22
H -1.147 -1.343 1.651  0.22
H -1.501 0.338 2.008  0.20
C -0.515 -6.978 3.160  -0.64
C -0.854 -6.181 4.403  -0.08
O -0.023 -5.010 4.506  -0.47
C -0.385 -3.966 3.758  0.69
O -1.333 -3.946 3.022  -0.55
C 0.554 -2.786 4.003  0.90
F 1.848 -3.147 3.993  -0.30
F 0.328 -2.209 5.197  -0.30
F 0.416 -1.822 3.076  -0.32
H 0.549 -7.223 3.140  0.22
H -1.093 -7.902 3.126  0.23
H -0.727 -6.406 2.254  0.22
H -0.655 -6.782 5.290  0.20
H -1.910 -5.906 4.430  0.20

Net charge: +1
Multiplicity: 1
E in eV: -45920.113

=====

[3]
Here is C36H45Cl2CuNOP2Te as an isolated structure at a distorted geometry from OMol25. Energies are from ωB97M-V/def2-TZVPD.

Each line ends with the Mulliken charge.
Positions of all 89 atoms, in Å:
Cu -0.909 -0.913 1.186  -1.51
Cl 2.023 0.034 -0.258  -0.05
C 1.917 1.718 -0.751  -0.48
Cl 0.419 2.516 -0.228  -0.09
H 1.944 1.744 -1.831  0.32
H 2.748 2.252 -0.316  0.38
C -3.863 1.314 -0.234  -1.22
P -2.666 0.580 0.929  2.49
........
William Campbell
Arthur Campbell
William Christian
Walter Crockett
Charles Cummings
William Edmondson
William Ingles
Thomas Madison
James McGavock
John Montgomery
William Preston
Evan Shelby
Stephen Trigg
Here is the old Cummings cabin, recently restored: 
In his 10 volume History of the United States from the Discovery of the American Continent, renowned American historian George Bancroft described the events as follows:
It is not probable that even one of the peers [in the House of Lords] had heard of the settlements beyond the Alleghenies, where the Watauga and the forks of the Holston flow to the Tennessee. Yet on the same day, the lords of that region, most of them Presbyterians of Scottish-Irish descent, met in council near Abingdon. Their united congregations, having suffered from Sabbaths too much profaned, or wasted in melancholy silence at home, had called Charles Cummings to the pastoral charge of their precious and immortal souls. The men never went to public worship without being armed, or without their families. Their minister, on Sabbath morning, would ride to the service with shot and pouch and rifle.... The news from Congress reached them slowly; but, on receiving an account of what had been done, they assembled in convention, and the spirit of freedom swept through their minds as naturally as the forest winds sways the firs on the sides of Black Mountain. They adhered unanimously to the association of Congress, and named as their committee Charles Cummings [and others]. Adopting the delegates of Virginia as their representatives, they addressed them as men whose conduct would immortalize them in its annals.
– George Bancroft, History of the United States from the Discovery of the American Continent, Vol. 7, 4th edition..
The Fincastle Resolutions should therefore be regarded as one of the great Ulster-Scots declaratory documents. If you are familiar with the various Scottish (Presbyterian) Covenants, you will see the template of conditional loyalty writ large in these words –
"To the Honorable Peyton Randolph, Esq; Richard Henry Lee, George Washington, Patrick Henry, junior, Richard Bland, Benjamin Harrison, and Edmund Pendleton, Esquires, the Delegates from this colony who attended the Continental Congress held at Philadelphia:
Had it not been for our remote situation, and the Indian war which we were lately engaged in, to chastise those cruel and savage people for the many murders and depredations they have committed amongst us (now happily terminated, under the auspices of our present worthy Governour, his Excellency the Right Honourable the Earl of Dunmore) we should before this time have made known to you our thankfulness for the very important services you have rendered to this country, in conjunction with the worthy Delegates from the other provinces. Your noble efforts for reconciling the Mother Country and the Colonies, on rational and constitutional principles, and your pacifick,steady, and uniform conduct in that arduous work, entitle you to the esteem of all British America, and will immortalize you in the annals of your country. We heartily concur in your resolutions, and shall, in every instance, strictly and invariably adhere thereto.
We assure you, Gentlemen, and all our countrymen, that we are a people whose hearts overflow with love and duty to our lawful sovereign George III. whose illustrious house, for several successive reigns, have been the guardians of civil and religious rights and liberties of his subjects, as settled at the glorious Revolution; that we are willing to risk our lives in the service of his Majesty, for the support of the Protestant religion, and the rights and liberties of his subjects, as they have been established by compact, law, and ancient charters.
We are heartily grieved at the differences which now subsist between the parent state and the colonies, and most ardently wish to see harmony restored, on an equitable basis, and by the most lenient measures that can be devised by the heart of men.
Many of us, and our forefathers, left our native land, considering it as a kingdom subjected to inordinate power, and greatly abridged of its liberties. We crossed the Atlantick, and explored this then uncultivated wilderness, bordering on many nations of savages, and surrounded by mountains almost inaccessible to any but those very savages, who have incessantly been committing barbarities and depredations on us since our first seating the country. These fatigues and dangers we patiently encountered, supported by the pleasing hope of enjoying those rights and liberties which have been granted to Virginians and were denied us in our native country, and of transmitting them inviolate to our posterity. But even to these remote regions the land of unlimited and unconstitutional power hath pursued us, to strip us of that liberty and property with which God, nature, and the rights of humanity, have vested us. We are ready and willing to contribute all in our power for the support of his Majesty's government, if applied to constitutionally, and when the grants are made by our own representatives; but cannot think of submitting our liberty or property to the power of a venal British parliament, or to the will of a corrupt ministry.
We by no means desire to shake off our duty or allegiance to our lawful sovereign, but on the contrary shall ever glory in being the loyal subjects of a Protestant prince, descended from such illustrious progenitors, so long as we can enjoy the free exercise of our religion, as Protestants, and our liberties and properties, as British subjects.
But if no pacifick measures shall be proposed or adopted by Great Britain, and our enemies will attempt to dragoon us out of those inestimable privileges which we are entitled to as subjects, and to reduce us to a state of slavery, we declare, that we are deliberately and resolutely determined never to surrender them to any power upon earth, but at the expense of our lives.
These are our real, though unpolished sentiments, of liberty and loyalty, and in them we are resolved to live and die.
We are, Gentlemen, with the utmost esteem and regard, your most obedient servant."
• Rev Charles Cummings’ parents were John Cummings and Sara (Polk) Cummings. His wife was Mildred Millicent (Carter) Cummings.
• You can read more here.
• Recent article on Cummings here
PS: Exactly 4 months after, on 20 May 1775, the more well-known Mecklenburg Declaration was proclaimed in North Carolina. One of the men present was a Rev Francis Cummings, whose parents were from Ireland, but he was born in Pennsylvania in 1752. When he was 19 his parents moved to Mecklenburg County where one of his pupils was the young Andrew Jackson. Read more on p 139 here.